Sunday, March 25, 2018

Where In The World Am I? by Nancy Gideon

• The entry is interrupted by calculated crystals:
~~~
[1]
Here is a relaxed Pm4Bi3 crystal from Alexandria. Energies are from GGA-PBE.

a = 4.4348 Å, b = 4.4348 Å, c = 12.5707 Å
α = 100.16°, β = 100.16°, γ = 90.00°
With the nearest neighbours (Å) after each atom.
Fractional coordinates of all 7 atoms:
Bi  0.3090  0.3090  0.6180  6 Pm 3.08-3.17
Pm  0.5644  0.5644  0.1288  1 Bi 3.08, 1 Pm 3.14
Pm  0.8214  0.8214  0.6428  5 Bi 3.15-3.17
Pm  0.4356  0.4356  0.8712  1 Bi 3.08, 1 Pm 3.14
Bi  0.6910  0.6910  0.3820  6 Pm 3.08-3.17
Pm  0.1786  0.1786  0.3572  5 Bi 3.15-3.17
Bi  0.0000  0.0000  0.0000  8 Pm 3.51

Computed properties:
space-group type: I4/mmm
energy: -4.979 eV/atom
E above lowest polymorph: 0.095 eV per atom
calculated density: 8.371 g cm⁻³

[2]
Here is a relaxed CeDyGe2Rh5 crystal from Alexandria. Energies are from GGA-PBE.

a = 3.9421 Å, b = 3.9421 Å, c = 11.7448 Å
α = 90.00°, β = 90.00°, γ = 90.00°
With the nearest neighbours (Å) after each atom.
Fractional coordinates of all 9 atoms:
Rh  0.0000  0.5000  0.1704  2 Ge 2.47
Rh  0.0000  0.0000  0.5000  2 Ge 2.39
Rh  0.5000  0.0000  0.1704  2 Ge 2.47
Rh  0.0000  0.5000  0.8296  2 Ge 2.47
Ge  0.0000  0.0000  0.2965  5 Rh 2.39-2.47
Ge  0.0000  0.0000  0.7035  5 Rh 2.39-2.47
Ce  0.0000  0.0000  0.0000  8 Rh 2.81
Rh  0.5000  0.0000  0.8296  2 Ge 2.47
Dy  0.5000  0.5000  0.5000  4 Rh 2.79

Computed properties:
space-group type: P4/mmm
energy: -6.686 eV/atom
calculated density: 8.756 g cm⁻³

[3]
Here is a relaxed BaLi2Si2 crystal from Alexandria. Energies are from GGA-PBE.

a = 8.1777 Å, b = 8.1777 Å, c = 3.3176 Å
α = 90.00°, β = 90.00°, γ = 90.00°
With the nearest neighbours (Å) after each atom.
Fractional coordinates of all 10 atoms:
Si  0.3962  0.8962  0.0000  1 Si 2.40
Ba  0.0000  0.0000  0.0000  2 Ba 3.32, 4 Si 3.35, 8 Li 3.48
Li  0.6634  0.8366  0.5000  4 Si 2.79
Li  0.1634  0.6634  0.5000  4 Si 2.79
Si  0.6038  0.1038  0.0000  1 Si 2.40
Si  0.1038  0.3962  0.0000  1 Si 2.40
Li  0.8366  0.3366  0.5000  4 Si 2.79
Li  0.3366  0.1634  0.5000  4 Si 2.79
Si  0.8962  0.6038  0.0000  1 Si 2.40
Ba  0.5000  0.5000  0.0000  2 Ba 3.32, 4 Si 3.35, 8 Li 3.48

Computed properties:
space-group type: P4/mbm
energy: -3.283 eV/atom
E above lowest polymorph: 0.326 eV per atom
formation energy without anion corrections: 0.18 eV per formula unit
calculated density: 3.104 g cm⁻³
~~~
• End of the calculated crystals:

While on a working vacation two weeks ago in Arizona to sign at the Tucson Festival of Books (thank you, Elizabeth and Tell-Tale Publishing!), I had some early morning quiet time trying to get back in the swing of Daylight Savings Time before going home to Michigan, and decided to get reacquainted with the paranormal on my backburner in a glassed-in nook at 3:30 a.m., with strong coffee and a H.o.T. ("House of Terriot") hero. I'd been away from the story doing final edits and stumping for my Tell-Tale Regency-set romance, SWEET TEMPEST (written as Lauren Giddings - my very first book, re-released and pretty fit for 30 years old!). I hadn't expected the words and characters to feel so distant - probably miffed because I spent time with . . . other characters! But also because it's the fourth and final book in a series with a lot of loose ends to tie up.

A four book series with overlapping time lines (why was I thinking THAT would be fun?) is hard enough to manage. Add to that, these four books are a mini-continuation of my TEN book BY MOONLIGHT series with characters and plotlines from those books popping in and out, too. FUN just became a major headache. Just where in this convoluted world was I when I left off?

The care and feeding of a paranormal world can be a headache for a solo project, but when combining characters, events, and over-arcing scenes to make sense to someone reading them cold is like trying to whip up an Emerill-class meal from a frozen microwave dinner. Not only are the storylines cold and the minor characters kind of tasteless, half the creative time is spent trying to find the name of that walk through guy in the first series' Book 6, who had one line who's soon to become the main villain of your WIP. Did his kids have names? Had I given him a prime evil directive? Had I mentioned where he lived or if he had a mustache?

I've tried to keep things organized (ADD with OCD rising!) knowing that the storylines would continue. Five books in, I went back and jotted down the main plot points by chapter. They're on a couple of legal pads . . . I used to know where before I moved. Then I developed a sheet for each scene complete with who, what, where, when and how with pull quotes and excerpts tagged. Most of it fairly useless now that the books were trimmed down in final editing so the pages numbers mean next to nothing in Kindle or paper final format. Knowing there has to be a better way, I've been investigating Evernote which seems (on the placid surface) like it can do the organizing I desperately need without having to go back college to learn Scrivener. We'll see. If I ever have time to devote to the learning curve . . . Please tell me that it can find anything, categorizes and provides quick and easy access to plotlines and characters that span more than one book. And that it can keep up with the editing process? I feel like I'm back at school needing to take a semester off just to catch up.

The book is rolling along . . . with lots of ( )s to fill in when I find that need-to-know detail that will keep their eyes from changing color or stop me from having someone leave one place before they first arrive.

Who said writing was easy? Probably the same fool who said My World, My Rules. Oh, yeah. That was me. Welcome to my world.

Careful of the mess. Work in progress.
~ ~ ~ ~ ~
Nancy Gideon on the Web


S.K. Dubois said...

I feel your pain, Nancy. Evernote is nice and another option is OneNote--which seems easier and more intuitive than Evernote--at least, to me.I tried Scrivener and hated it with a passion--possibly because I was trying to learn it on the fly and that didnt' work at all. I'm tying up loose ends in a series and looking forward to writing a stand-alone book without the constant chasing down names and details. Best of Luck to you!!

Diane Burton said...

The piece is interrupted by materials data:
'''
# KSn12Au6 PBE-GGA relaxed
# Total DFT energy (no corrections) ... -3.74 eV/atom
# Size of the total moment ... 0.00 μB/f.u.
# ΔH_f (0 K) ... -0.12 eV per atom
data_KSn12Au6
_cell_length_a 13.7333
_cell_length_b 13.7333
_cell_length_c 9.3338
_cell_angle_alpha 90.00
_cell_angle_beta 90.00
_cell_angle_gamma 120.00
_space_group_name_H-M_alt 'R -3 m'
_space_group_IT_number 166
_space_group_name_Hall '-R 3 2"'
loop_
_atom_site_label
_atom_site_fract_x
_atom_site_fract_y
_atom_site_fract_z
K1 0.0000 0.0000 0.0000
Sn1 0.0000 0.3856 0.5000
Sn2 0.0876 0.1751 0.3420
Au1 0.0023 0.5011 0.2390

----------

[1]
DFT (PBEsol) results for crystalline MnHgAs3 at its relaxed geometry.

Summary:
E_form: 1.35 eV/atom

Lattice parameters (Å, degrees): 5.081 5.081 5.081 90.00 90.00 90.00
Site moments in Bohr magnetons follow the coordinates.
Atoms (fractional coordinates):
As1 0.000 0.500 0.000  -0.12
As2 0.000 0.000 0.500  -0.12
As3 0.500 0.000 0.000  -0.12
Hg1 0.000 0.000 0.000  -0.01
Mn1 0.500 0.500 0.500  4.41

[2]
DFT (PBEsol) results for crystalline MnHgTeN2 at its relaxed geometry.

Summary:
Electronic total energy: -5.504 eV/atom

Lattice parameters (Å, degrees): 3.769 3.769 5.445 90.00 90.00 90.00
Site moments in Bohr magnetons follow the coordinates.
Atoms (fractional coordinates):
Mn1 0.000 0.000 0.000  -0.15
Hg1 0.500 0.500 0.500  0.00
N1 0.500 0.000 0.000  0.10
N2 0.000 0.500 0.000  0.10
Te1 0.000 0.000 0.500  0.01

[3]
DFT (PBEsol) results for crystalline SrPRu2 at its relaxed geometry.

Summary:
E_form: -0.11 eV/atom

Lattice parameters (Å, degrees): 3.794 3.795 5.480 90.00 89.99 90.00
Atoms (fractional coordinates):
P1 0.125 0.500 0.829
Ru1 0.125 0.000 0.061
Ru2 0.625 0.500 0.061
Sr1 0.625 0.000 0.548

[4]
DFT (PBEsol) results for crystalline OsRu2Br at its relaxed geometry.

Summary:
Electronic total energy: -7.504 eV/atom

Lattice parameters (Å, degrees): 4.047 4.566 4.047 63.69 90.00 116.31
Atoms (fractional coordinates):
Os1 0.000 0.000 0.000
Ru1 0.750 0.500 0.750
Ru2 0.250 0.500 0.250
Br1 0.500 0.000 0.500

[5]
DFT (PBEsol) results for crystalline Al2Hg at its relaxed geometry.

Summary:
E_form: 0.18 eV/atom

Lattice parameters (Å, degrees): 3.891 3.891 4.105 90.00 90.00 90.00
Atoms (fractional coordinates):
Al1 0.000 0.500 0.500
Al2 0.500 0.000 0.500
Hg1 0.000 0.000 0.000

[6]
DFT (PBEsol) results for crystalline TaTlMo2 at its relaxed geometry.

Summary:
E_form: 0.38 eV/atom

Lattice parameters (Å, degrees): 2.865 4.353 5.693 90.00 99.83 90.00
Atoms (fractional coordinates):
Tl1 0.515 0.500 0.753
Ta1 0.941 0.000 0.472
Mo1 0.067 0.000 0.031
Mo2 0.478 0.500 0.244

[7]
DFT (PBEsol) results for crystalline CdTe2MoOs at its relaxed geometry.

Summary:
Electronic total energy: -5.270 eV/atom

Lattice parameters (Å, degrees): 4.794 5.218 5.218 90.00 90.00 90.00
Site moments in Bohr magnetons follow the coordinates.
Atoms (fractional coordinates):
Te1 0.000 0.000 0.500  -0.01
Te2 0.000 0.500 0.000  -0.01
Os1 0.000 0.000 0.000  -0.14
'''

Someone else who feels your pain here. I tried Scrivener. Despite taking a workshop on it, I discovered I didn't want to devote the time to learning it. Thanks to you and Sorchia, I'm going to check into Evernote and OneNote. When we leave our characters (in media res) to work with other characters, they do get mad and clam up. For a writer who depends on characters to reveal themselves and the plot, this is so frustrating. I hope your characters get over their tiff and speak to you more easily. Good luck with this new story.

Attached: crystal structures =
........
Entry 1:
The following is a DFT calculation (SCAN) of a PBEsol-optimized structure of SiSeS2N.

Calculated values
Formation energy (no corrections) (meV per atom): 450
Crystal system: tetragonal
E (eV per formula unit): -56.39
N(E_F) (states/eV/atom): 0.4656

Cell lengths 3.327, 4.699, 4.699 Å; angles 90.00, 90.00, 90.00 degrees
Fractional positions:
1 S 0.000 0.000 0.500
2 S 0.000 0.500 0.000
3 Si 0.000 0.000 0.000
4 Se 0.500 0.500 0.500
5 N 0.500 0.000 0.000



Entry 2:
The following is a DFT calculation (SCAN) of a PBEsol-optimized structure of Te2AsP.

Calculated values
Formation energy (no corrections) (meV per atom): 657
Crystal system: cubic
E (eV per formula unit): -102.47
Distance to the lowest polymorph of the same formula (eV per formula unit): 0.28
N(E_F) (states/eV/atom): 0.7314

Cell lengths 4.964, 4.964, 4.964 Å; angles 60.00, 60.00, 60.00 degrees
Fractional positions:
1 P 0.250 0.250 0.250
2 As 0.500 0.500 0.500
3 Te 0.000 0.000 0.000
4 Te 0.750 0.750 0.750



Entry 3:
The following is a DFT calculation (SCAN) of a PBEsol-optimized structure of CoBPt2.

Calculated values
Crystal system: tetragonal
E (eV per formula unit): -165.35
ΔH_f (0 K) (eV per atom): -0.058
N(E_F) (states/eV/atom): 0.4946

Cell lengths 4.885, 5.183, 5.183 Å; angles 77.17, 61.89, 61.89 degrees
Fractional positions:
1 B 0.250 0.500 0.500
2 B 0.500 0.000 0.000
3 Co 0.750 0.500 0.500
4 Co 0.000 0.000 0.000
5 Pt 0.206 0.919 0.419
6 Pt 0.544 0.081 0.581
7 Pt 0.375 0.419 0.081
8 Pt 0.875 0.581 0.919



Entry 4:
The following is a DFT calculation (SCAN) of a PBEsol-optimized structure of Li2SiH.

Calculated values
Crystal system: cubic
E (eV per formula unit): -16.30
N(E_F) (states/eV/atom): 0.3351

Cell lengths 4.153, 4.153, 4.153 Å; angles 60.00, 60.00, 60.00 degrees
Fractional positions:
1 H 0.000 0.000 0.000
2 Si 0.500 0.500 0.500
3 Li 0.250 0.250 0.250
4 Li 0.750 0.750 0.750



Entry 5:
The following is a DFT calculation (SCAN) of a PBEsol-optimized structure of Cu5Ni.

Calculated values
Crystal system: orthorhombic
E (eV per formula unit): -91.96
ΔH_f (0 K) (eV per atom): 0.035
N(E_F) (states/eV/atom): 0.4787

Cell lengths 2.505, 4.105, 6.587 Å; angles 90.00, 100.96, 90.00 degrees
Fractional positions:
1 Cu 0.999 0.000 0.999
2 Cu 0.667 0.000 0.334
3 Cu 0.335 0.000 0.669
4 Cu 0.554 0.500 0.109
5 Cu 0.223 0.500 0.447
6 Ni 0.888 0.500 0.776



Entry 6:
The following is a DFT calculation (SCAN) of a PBEsol-optimized structure of MoOs.

Calculated values
Crystal system: trigonal
E (eV per formula unit): -106.46
ΔH_f (0 K) (eV per atom): 0.151
N(E_F) (states/eV/atom): 0.6333

Cell lengths 2.745, 2.745, 8.990 Å; angles 90.00, 90.00, 120.00 degrees
Fractional positions:
1 Mo 0.667 0.333 0.136
2 Mo 0.333 0.667 0.864
3 Os 0.667 0.333 0.622
4 Os 0.333 0.667 0.378



Entry 7:
The following is a DFT calculation (SCAN) of a PBEsol-optimized structure of YIr2Pt.

Calculated values
Crystal system: tetragonal
E (eV per formula unit): -241.16
ΔH_f (0 K) (eV per atom): -0.231
........

Maureen said...

Good luck with your story! I keep wanting to try Scrivener but I haven't taken the time to do it. Seem that people love it or hate it. I use OneNote for saving some information.

Elizabeth Alsobrooks said...

Sounds like a HoT mess..LOL! What were you doing up at 3:30 a.m.? Crazy writerly person!